4 Tips To Keep Nutrition Client Engagement High During The Holidays!

featured nutrition client engagement

Gym member, and nutrition client engagement during the holidays is one of the toughest things to navigate as a gym owner. People legitimately get busy with work events, school events, and gathering with friends and family. Instead of relying on their nutrition coaching, and gym membership to help hold them accountable, multiple clients use “this time of year” as an excuse to take a break from their health and wellness goals. Their physical activity goes down, their food choices become poor, and their overall lifestyle lacks focus on long term health goals.

As gym owners, and nutrition coaches, we need to find ways to motivate nutrition clients, and gym members during this busy season to stay on track, and maintain focus with their healthy habits. In this blog post we will highlight three tips to help increase client motivation, and keep nutrition client engagement high during the holidays.

Someone pasted molecular data at this point
Entry A
C4H4N2 | ωB97M-V with the def2-TZVPD basis set

Output
HOMO level ... -0.3836 Eh
Structure (SMILES) ... C#C[C@H](N)C#N

Geometry (Å):
N (-1.261, -0.795, -0.438)
C (-0.429, 0.131, 0.324)
C (1.026, -0.116, 0.198)
C (2.184, -0.404, 0.032)
C (-0.793, 1.541, 0.076)
N (-1.136, 2.643, 0.139)
H (-1.047, -0.726, -1.430)
H (-1.030, -1.749, -0.166)
H (-0.735, 0.104, 1.379)
H (3.220, -0.629, -0.114)

---

Entry B
C4H4N2 | ωB97M-V with the def2-TZVPD basis set

Output
HOMO level (alpha / beta) ... -0.3194 / -0.3199 Eh
Structure (SMILES) ... Cn1cc2nc1-2

Geometry (Å):
C (-0.570, -1.113, -0.026)
C (-1.901, -0.739, -0.033)
C (-1.202, 0.981, -0.003)
C (1.358, 0.493, -0.084)
N (-2.396, 0.439, -0.085)
N (-0.071, 0.115, 0.052)
H (-0.216, -2.044, 0.248)
H (1.453, 1.480, 0.311)
H (1.753, -0.108, 0.778)
H (1.793, 0.496, -1.157)

---

Entry C
C4H4N2 | ωB97M-V with the def2-TZVPD basis set

Output
HOMO level ... -0.3739 Eh

Geometry (Å):
C (-0.462, 0.333, -0.891)
C (-0.337, 0.378, 0.453)
C (-1.482, -0.002, 1.222)
N (-2.384, -0.444, 1.796)
C (1.508, -1.124, 0.562)
N (2.103, -0.513, -0.266)
H (1.914, 0.268, -0.880)
H (-1.450, 0.497, -1.284)
H (0.255, -0.004, -1.631)
H (0.497, 0.737, 1.037)

---

Energy ordering: entry A at the bottom, the next structure 32.6 kcal/mol above.

---

Entry A
C5H10N3O | ωB97M-V with the def2-TZVPD basis set

Output
HOMO level ... -0.5240 Eh
Charge ... +1
Structure (SMILES) ... CC1(C)NC(=O)NC1=[NH2+]

Geometry (Å):
C (0.464, 0.483, 0.803)
C (-0.862, -1.386, 1.457)
C (-0.053, -0.169, -0.431)
C (-1.010, 0.931, -1.016)
C (0.881, -0.683, -1.427)
N (-0.112, -0.261, 1.983)
N (-0.768, -1.317, 0.089)
N (1.111, 1.601, 0.903)
O (-1.379, -2.191, 2.187)
H (-1.768, 0.505, -1.701)
H (-0.291, 1.421, -1.589)
H (-1.472, 1.591, -0.380)
H (1.622, -1.278, -0.861)
H (1.442, 0.119, -1.912)
H (0.391, -1.183, -2.360)
H (0.313, -0.423, 2.877)
H (-1.153, -1.927, -0.538)
H (1.287, 2.096, 0.075)
H (1.356, 2.071, 1.841)

---

Entry B
C5H10N3O | ωB97M-V with the def2-TZVPD basis set

Output
HOMO level (alpha / beta) ... -0.4791 / -0.4792 Eh
Charge ... +1
Structure (SMILES) ... C=C(N)/C(O)=[NH+]\N=C\C

Geometry (Å):
C (0.440, -1.166, -1.016)
C (-0.416, -0.138, 1.806)
C (-0.753, 1.090, 1.145)
C (0.367, -1.446, -2.465)
C (-0.300, 2.278, 1.558)
N (-0.331, -1.651, -0.169)
N (-0.259, -1.309, 1.232)
N (-1.344, 1.023, -0.056)
O (-0.052, -0.276, 3.083)
H (-0.429, -0.927, -3.029)
H (0.090, -2.500, -2.655)
H (1.345, -1.253, -3.016)
H (0.337, 2.355, 2.499)
H (-0.384, 3.107, 0.898)
H (1.106, -0.364, -0.644)
H (0.060, -2.045, 1.844)
H (-1.526, 1.932, -0.434)
H (-1.867, 0.224, -0.365)
H (-0.144, 0.464, 3.698)

---

Entry C
C5H10N3O | ωB97M-V with the def2-TZVPD basis set

Output
HOMO level ... -0.4542 Eh
Charge ... +1
Structure (SMILES) ... CO/C=C\N=C/NC=[NH2+]

Geometry (Å):
C (1.620, -1.958, 0.092)
C (-0.684, -2.196, -0.206)
C (2.008, -0.653, 0.193)
C (-2.345, -0.644, 0.064)
C (1.599, 1.618, -0.033)
N (0.466, -2.634, -0.123)
N (-1.141, -0.899, -0.007)
N (-2.704, 0.563, 0.354)

Why Is It Important To Increase Client Engagement During The Holidays?

Open communication, accountability, and ongoing support are crucial for helping nutrition clients, and gym members maintain a healthy lifestyle. The last thing we want to see is our once engaged membership lose progress because of the stigma associated with a few days in the year.

girl resting her head on a barbell like shes sleeping representing lack of nutrition client engagement

It’s important to keep our clients engaged for a few reasons:

Maintain Health And Nutrition Goals

The holiday season often brings, a chaotic schedule, an abundance of tempting, indulgent foods, plus added opportunities to consume alcohol. Engaging with clients, and providing accountability helps motivate clients to focus on their health, and nutrition goals.

Health goals are important for several reasons:

  1. Prevent Weight Gain: The holiday season is often associated with calorie-dense foods. By maintaining focus on health goals, clients are more likely to make conscious choices, which can prevent excessive weight gain.

  2. Promote Long-Term Health: Consistency in healthy eating habits is key to maintaining long-term health. Ignoring health goals during the holidays can lead to setbacks that are harder to recover from in the long run.

  3. Stress Management: The holidays can be a stressful time for many people. Prioritizing health outcomes can serve as a positive outlet for managing stress. Regular physical activity, and balanced meals can help alleviate some of the emotional strain.

  4. Prevent Emotional Eating: Emotional eating can be triggered by holiday-related stress, loneliness, or other emotions. Helping clients recognize, and address emotional eating patterns will promote a healthier relationship with food.

  5. Setting a Positive Example: Clients who prioritize healthy strategies during the holidays serve as positive role models for friends and family. This can inspire others to make healthier choices as well.

  6. Building Resilience: Staying committed to health, even during challenging times like the holidays, helps create resilience and reinforces positive habits. It demonstrates that clients have the capability to make healthy choices in any situation.

  7. Avoiding Guilt and Regret: Straying too far from “healthy” during the holidays can lead to feelings of guilt and regret. Staying on track helps clients identify as healthy and allows them to avoid these negative emotions.

  8. Enhancing Overall Well-Being: A focus on health goals goes beyond physical health. It encompasses mental, emotional, and social well-being as well. Prioritizing health during the holidays contributes to an overall sense of well-being.

coffee cup & notebook on table with the notebook reading "consistent action creates consistent results"

Maintaining Consistency

Consistency is key when it comes to achieving any goal. By staying engaged with clients during the holidays, you help them establish a routine that includes healthy eating habits, and exercise. Encourage them to keep their nutrition coaching sessions, and fitness routine. Doing so will help the client progress during this time of year, rather than feel setbacks.

Client Retention Leads To Business Success

Selfishly our business must succeed. Keeping clients motivated using simple client engagement tools primarily helps them, but also helps the gym owner, and nutrition coach stay in business. If clients are not partaking in our services our business will suffer.


4 Tips To Increase Gym Member & Nutrition Client Engagement During The Holidays

Remember that nutrition client engagement means more than just providing meal plans, and doing biometrics. Client needs vary but offering several types of engagement opportunities outside of the wellness clients individual coaching sessions, and group classes for gym members will provide additional guidance clients can practice during “this time of year.”

Here are some of the engagement types we suggest to help support clients and keep them on track.

Tip #1 - Host A Holiday Nutrition Talk

nutrition coach in front of people giving a nutrition talk to spark nutrition client engagement

Nutrition talks are a great way to get in front of people to educate them on nutrition, and wellness strategies.

  1. Nutrition talks keep the topic of nutrition at the forefront of peoples minds creating engagement

  2. They help support people by providing information that can be applied to their life in order to help them live a life of health and wellness

  3. Nutrition talks set you up to the be the expert, solidifying the legitimacy of your program to current members, and potential new clients who get wind of your program

  4. They are also a great way to get leads for your program. By offering the nutrition talk free to both internal members, and externally to your community, you will likely gain some new followers

Tip #2 - Host A Holiday Meal Prep Swap

meal prep containers stacked on a table demonstrating nutrition client engagement

Meal planning, and prepping is an activity many people struggle with. Additionally, a person will be more successful if they are prepared. Organizing a gym wide meal prep swap has been a proven method of helping nutrition clients, and gym members eat healthy. They get to sample a variety of different recipes they may not normally make for themselves, and they are set up for a weeks worth of lunches or dinners.

Here is how a meal prep swap works…

  1. Set a date for the swap. (We usually do a Sunday afternoon for an hour.)

  2. Create a google sheet to have people sign up for the meal prep swap

    • On sign up form get their name, phone number & the recipe they are making

  3. You can provide a list of recipes to choose from, or you can allow people to make whatever they like. The requirements are:

    • It has to be a healthy recipe (low saturated fat, no ultra processed ingredients)

    • They have to make 5 servings

    • The ingredients, and macro breakdown per serving must be provided on each container

  4. People bring there prepared meals in & set them on a huge table. Everyone participating each grabs a different meal from the table of prepped meals.

  5. All participants should walk away with 5 different meals as long as there were at least 5 people who participate

Tip #3 - Host Gym Wide Mini Fitness & Nutrition Challenges

ladies working out in a gym demonstrating nutrition client engagement

This isn’t the same as the nutrition challenges you run a couple of times per year. These mini challenges are completely different. We are talking about short events where people can engage for a week or so, then be eligible to win a prize.

Here are some ideas:

Holiday Bingo

a health & wellness bingo card demonstrating a way to keep nutrition client engagement high in a gym

Create a bingo card that includes fitness, and nutrition challenges. You can even include a couple of spots that will help grow the gym like, leave a GOOGLE review, invite a friend to a nutrition talk, or tag us on social media in your sweaty selfie. When someone completes an entire line they get BINGO. Winners of BINGO get a prize like a gym shaker bottle, a shirt, or if you have partnerships with local businesses, you could get them involved to donate prizes.

12 Days Of Fitness

12 Days of Fitness is a great way to get the entire gym involved in fitness! Each day, during the 12 days, members complete 4 tasks. If they complete all 4 tasks each of the 12 days, they get a prize!

Tasks should be associated with fitness, nutrition, and lifestyle. An example could be each day a person has to:

  • Get in 30 minutes of movement

  • Drink 1/2 their body weight in water

  • Eat veggies with 2 meals per day

  • Say a kind word to one person each day

These are just examples, you can make the mini challenges whatever you would like them to be as long as they are related to fitness, nutrition, and lifestyle.

Step Challenge

a person walking down the road adding to their step count

Seems to simple right!? Well, simplicity wins in many situations. If your gym members aren’t getting to the gym, and your nutrition only clients aren’t working out, it seems like a win to me! Incentivize them to at least get their steps in!

Offering a prize for a certain number of steps per day can really help engage, and motive clients. It could even be set up on a tiered system so that a couple of people will get a prize. The highest tier could be between 10k – 12k steps, middle tier could be 8k – 9,999k steps, and the low tier could be 6,000 – 7,999 steps. If people aren’t getting in 6k steps, then they get no prize.

Make the prizes for the upper tier better than the prizes for the lower tier. Again think of community partnerships. If you don’t have any, it’s not to late to develop at least 1 before December.

Tip #4 - Member Checkins or Goal Setting Sessions

There is not better way than to engage with your members than a one on one session. Meeting with someone individually helps build trust, and camaraderie. If you haven’t read our blog on member checkins, often called member goal setting sessions, then I highly suggest you do.

Adding this to your task list as a gym owner is highly important. They are seen primarily as a retention strategy, but are also used to increase engagement, and as a revenue source. Many times an upsell happens out of these sessions.

During the holidays the best outcome would be for these sessions to help your clients to stay engaged. Planning out their new year “resolutions” would be a good practice during these holiday session. Additionally it would be a great way to highlight the upcoming new year nutrition challenge if you are running one.

Wrap Up

Just because the holidays are synonymous for motivation to slow, and wellness to diminish, it doesn’t have to be that way. Gym owners, and clients can find success during “this time of year”. Gym member and nutrition client engagement will remain high if you implement a simple plan. 

After reading this blog, make a plan for yourself. Have a staff meeting, get your coaches involved, and come up with some fun ways to keep members working out, and not eating like savages during the holidays this year!

Free Help For Gym Owners And Coaches

WATCH & LISTEN: Building Partnerships In Your Business – HERE

WATCH & LISTEN: What Is The Gym Owners Role In A Nutrition Program: Going From Good To Great –HERE

WATCH & LISTEN: Grow Your Business For Gym Owners With Mike Michalowicz – HERE